If the “risk on/risk off” stock market meme was absurd, its derivative – the “trade war on/trade war off” meme – is idiotic. Over the last several weeks, the stock market has gyrated around media sound bytes, typically dropped by Trump, Larry Kudlow or China, which are suggestive of the degree to which Trump and China are willing to negotiate a trade war settlement.
Please do not make the mistake of believing that the fate the of the stock market hinges on whether or not Trump and China reach some type of trade deal. The “trade war” is a “symptom” of an insanely overvalued stock market resting on a foundation of collapsing economic and financial fundamentals. The trade war is the stock market’s “assassination of Archduke Franz Ferdinand.”
Trump’s Dilemma – The dollar index has been rising since Trump began his war on trade. But right now it’s at the same 97 index level as when Trump was elected. Recall that Trump’s administration pushed down the dollar from 97 to 88 to stimulate exports. After Trump was elected, gold was pushed down to $1160. It then ran to as high as $1360 – a key technical breakout level – by late April. In the meantime, since Trump’s trade war began, the U.S. trade deficit has soared to a record level.
If Trump wants to “win” the trade war, he needs to push the dollar a lot lower. This in turn will send the price of gold soaring. This means that the western Central Banks/BIS will have to live with a rising price gold, something I’m not sure they’re prepared accept – especially considering the massive paper derivative short position in gold held by the large bullion banks. This could set up an interesting behind-the-scenes clash between Trump and the western banking elitists.
I’ve labeled this, “Trump’s Dilemma.” As anyone who has ever taken a basic college level economics course knows, the Law of Economics imposes trade-offs on the decision-making process (remember the “guns and butter” example?). The dilemma here is either a rising trade deficit for the foreseeable future or a much higher price of gold. Ultimately, the U.S. debt problem will unavoidably pull the plug on the dollar. Ray Dalio believes it’s a “within 2 years” issue. I believe it’s a “within 12 months” issue.
Irrespective of the trade war, the dollar index level, interest rates and the price of gold, the stock market is headed much lower. This is because, notwithstanding the incessant propaganda which purports a “booming economy,” the economy is starting to collapse. The housing stocks foreshadow this, just like they did in 2005-2006:
The symmetry in the homebuilder stocks between mid-2005 to mid-2006 and now is stunning as is the symmetry in the nature of the underlying systemic economic and financial problems percolating – only this time it’s worse…
The commentary above is a “derivative” of the type of analysis that precedes the presentation of investment and trade ideas in the Mining Stock and Short Seller’s Journals. To find out more about these newsletters, follow these links: Short Seller’s Journal information and more about the Mining Stock Journal here: Mining Stock Journal information.
Easy hedge……………..
== Next to the piece, the page also holds records of crystals ==
An optimized crystal structure of LiCdAu, computed with PBEsol.

Computed properties:
ΔE_f: -8.5 kcal/mol of atoms
DOS(E_F): 1.0 states/eV per cell
Total magnetic moment: 0.000 μB per formula unit
Relative energy among the computed polymorphs: 0.03 eV per formula unit

Unit cell a=4.5094 b=4.5094 c=2.8353 alpha=90.00 beta=90.00 gamma=120.00
Space group P3m1 (No. 156)
Asymmetric unit:
Li 0.0000 0.0000 0.0000 (multiplicity 1)
Cd 0.6667 0.3333 0.6474 (multiplicity 1)
Au 0.3333 0.6667 0.2159 (multiplicity 1)

***

An optimized crystal structure of LaSnIrAu2, computed with PBEsol.

Computed properties:
ΔE_f: 21.9 kcal/mol of atoms
DOS(E_F): 2.5 states/eV per cell
Total magnetic moment: 0.000 μB per formula unit

Unit cell a=5.439 b=5.439 c=4.944 alpha=90.00 beta=90.00 gamma=90.00
Space group P4/mmm (No. 123)
Asymmetric unit:
La 0.000 0.000 0.000 (multiplicity 1)
Sn 0.500 0.500 0.500 (multiplicity 1)
Ir 0.000 0.000 0.500 (multiplicity 1)
Au 0.000 0.500 0.000 (multiplicity 2)

***

An optimized crystal structure of Mg2ReSb, computed with PBEsol.

Computed properties:
DOS(E_F): 2.4 states/eV per cell
Total magnetic moment: 0.000 μB per formula unit
ΔE_f (raw): 0.279 eV/atom

Unit cell a=3.588 b=4.603 c=8.743 alpha=90.00 beta=90.00 gamma=90.00
Space group Imm2 (No. 44)
Asymmetric unit:
Mg 0.000 0.000 0.000 (multiplicity 2)
Mg 0.000 0.500 0.245 (multiplicity 2)
Re 0.000 0.500 0.753 (multiplicity 2)
Sb 0.000 0.000 0.484 (multiplicity 2)

***

An optimized crystal structure of TaBe2Tc, computed with PBEsol.

Computed properties:
ΔE_f: -8.2 kcal/mol of atoms
DOS(E_F): 0.4 states/eV per cell
Total magnetic moment: 0.000 μB per formula unit
Relative energy among the computed polymorphs: 0.00 eV per formula unit

Unit cell a=3.269 b=3.163 c=8.910 alpha=90.00 beta=90.00 gamma=90.00
Space group Amm2 (No. 38)
Asymmetric unit:
Ta 0.000 0.000 0.000 (multiplicity 2)
Be 0.000 0.000 0.728 (multiplicity 2)
Be 0.500 0.000 0.597 (multiplicity 2)
Tc 0.500 0.000 0.311 (multiplicity 2)

***

An optimized crystal structure of TiPdBr2, computed with PBEsol.

Computed properties:
DOS(E_F): 7.2 states/eV per cell
Total magnetic moment: 0.004 μB per formula unit
ΔE_f (raw): 0.047 eV/atom
Relative energy among the computed polymorphs: 0.86 eV per formula unit

Unit cell a=3.4275 b=3.4275 c=25.3634 alpha=90.00 beta=90.00 gamma=120.00
Space group R-3m (No. 166, hexagonal axes)
Asymmetric unit:
Ti 0.0000 0.0000 0.0000 (multiplicity 3)
Pd 0.0000 0.0000 0.5000 (multiplicity 3)
Br 0.0000 0.0000 0.0936 (multiplicity 6)

***

An optimized crystal structure of Bi2PCl, computed with PBEsol.

Computed properties:
DOS(E_F): 2.9 states/eV per cell
Total magnetic moment: 0.000 μB per formula unit
ΔE_f (raw): -0.091 eV/atom
Relative energy among the computed polymorphs: 0.00 eV per formula unit

Unit cell a=7.808 b=7.808 c=6.871 alpha=90.00 beta=90.00 gamma=90.00
Space group I-42d (No. 122)
Asymmetric unit:
Bi 0.217 0.250 0.125 (multiplicity 8)
P 0.000 0.000 0.000 (multiplicity 4)
Simon Mikhailovich @S_Mikhailovich 22h22 hours ago
If one offered investors a fat tail put option that never decays or expires, costs about -1% pa to carry, has no counter party risk & no chance of ever becoming worthless, there would be a line out the door. But when one explains that this option is physical gold… no interest.
Stocks? From big fat ugly bubble to so fat, it makes Jabba the Hutt look anorexic.
Man, this whole market/ Ponzi scheme is wrong like
two left shoes.
Speaking of gold, did you happen to see this ?
It appears that something is askew.